Saturday, October 30, 2010

Trick or Treat

I love Halloween; I paint my face and put on my Uncle Fester stuff and generally have a great time - I'm so into this that I also have one of those bulbs that lights up in my hand or in my mouth. During these last days of October I can focus on little else. As a kid I couldn't wait to get into my costume and spend the night collecting more candy than I could carry in a pillow case. As a young adult I attended endless parties in hopes of extending this fun day beyond its 24 hours. As a parent I think I had more fun than my daughter - for sure I was dressed up long before she was. And for more years than I care to admit I'd work at scaring the kids who came to our door by designing costumes intended to scare them away empty handed. I was so excited this week when a client was having a Halloween Friday when I was scheduled to meet with them - I was up and 'painted' long before I was supposed to be there. You get the drift - I am in the spirit!

Let's admit it - life is supposed to be fun and there's too little of that to go around these days. When's the last time you had some fun - not the kind where you smiled politely, but the times when you and your friends, family and colleagues had a really good belly laugh together?? There's too much serious all around us - life, work and even stuff that's supposed to be playful - we need to have a little fun! Halloween is the one day when you're supposed to have fun - so get out and do it.

My message this week is about innovation, and how being in a fun environment helps promote that.

"If you want creative workers, give them enough time to play." John Cleese

John Marwood Cleese (born October 27, 1939) is an English actor, comedian, writer and film producer. He achieved success as a member of the Monty Python comedy group. He later co-founded the production company Video Arts, responsible for making entertaining training films.

Ok, I’ll admit it: I have been dying to use a quote by John Cleese. He’s a funny guy who always makes me laugh, and his creative endeavors have been very popular. In one of his more memorable productions he played the manager of a country inn called Fawlty Towers and his mantra was: "I could run this hotel just fine, if it weren't for the guests." A parody based on that statement is certainly understandable; but in the real world dealing with problem people is a challenge that requires you to be creative and positive and innovative in taking care of their needs. The key to that is never being cranky and disagreeable, and the way to do that is by staying focused on doing what’s right, being positive and having fun. You should develop relationships with your family, friends, co-workers and colleagues that are based on mutual understanding, respect, trust and admiration – those are the characteristics upon which you build real friendships. And friends like to play together and have fun. So, be friendly and have fun today, and see how creative and innovative you can be.

Friday, October 22, 2010

Thunder and Lightening

I love thunder and lightening storms - when I was kid I remember lying in bed and watching the lightening and counting the seconds between its flash and the booming sound of the thunder to determine how far away the storm was. In my head I would always be counting: one-one thousand, two-one thousand and so on. We had those kind of storms all the time in upstate New York, and I loved the power and fury they brought, along with the sound of the rain on the windows and roof. California rarely has those kinds of storms now, but we had them this week and it immediately brought back all the sounds and smells and memories of those long ago storms. What's amazing is how little it takes to recall memories from our past - the sights and sounds and smells and emotions we grew up with. And as I laid awake in the night and watched this rare lightening illuminate the darkened room, I smiled at all the related memories that accompanied those long ago events. Life is full of memories - and they continue to vividly shape and define who we are today. Take time this week to remember all those things that made you what you are today, and to smile at the memories.

My message this week is about integrity, and how all that we learned throughout our lives continues to help shape who and what we are today.

“If you have integrity, nothing else matters. If you don't have integrity, nothing else matters.” Alan Simpson

**Crystal structures, as found in the file**
+++
(1)
Entry from Alexandria: an optimized crystal structure of SrTl2Hg8 (PBE-GGA).

a = 5.587 Å, b = 6.149 Å, c = 9.800 Å
α = 108.28°, β = 95.77°, γ = 90.00°
Atoms (fractional coordinates):
Sr (0.000, 0.000, 0.000)
Tl (0.340, 0.741, 0.483)
Tl (0.660, 0.259, 0.517)
Hg (0.531, 0.335, 0.172)
Hg (0.469, 0.164, 0.828)
Hg (0.882, 0.817, 0.634)
Hg (0.118, 0.183, 0.366)
Hg (0.531, 0.836, 0.172)
Hg (0.469, 0.665, 0.828)
Hg (0.018, 0.588, 0.176)
Hg (0.982, 0.412, 0.824)

E above lowest polymorph   0 meV/atom
Total magnetization   0.00 μB/cell
Final energy   -10.290 eV per formula unit
DFT formation energy   -133 meV per atom


(2)
Entry from Alexandria: an optimized crystal structure of Sr2TlHg5 (PBE-GGA).

a = 4.713 Å, b = 9.754 Å, c = 10.704 Å
α = 90.00°, β = 90.00°, γ = 103.98°
Atoms (fractional coordinates):
Sr (0.806, 0.611, 0.750)
Sr (0.194, 0.389, 0.250)
Sr (0.000, 0.000, 0.000)
Sr (0.000, 0.000, 0.500)
Tl (0.458, 0.917, 0.750)
Tl (0.542, 0.083, 0.250)
Hg (0.199, 0.398, 0.896)
Hg (0.801, 0.602, 0.104)
Hg (0.199, 0.398, 0.604)
Hg (0.801, 0.602, 0.396)
Hg (0.361, 0.722, 0.970)
Hg (0.639, 0.278, 0.030)
Hg (0.361, 0.722, 0.530)
Hg (0.639, 0.278, 0.470)
Hg (0.612, 0.225, 0.750)
Hg (0.388, 0.775, 0.250)

E above lowest polymorph   36 meV/atom
Total magnetization   0.00 μB/cell
Final energy   -9.836 eV per formula unit
DFT formation energy   -325 meV per atom


(3)
Entry from Alexandria: an optimized crystal structure of SrTl4Hg7 (PBE-GGA).

a = 5.420 Å, b = 5.420 Å, c = 13.472 Å
α = 90.00°, β = 90.00°, γ = 120.00°
Atoms (fractional coordinates):
Sr (0.000, 0.000, 0.500)
Tl (0.333, 0.667, 0.912)
Tl (0.667, 0.333, 0.088)
Tl (0.333, 0.667, 0.646)
Tl (0.667, 0.333, 0.354)
Hg (0.000, 0.000, 0.000)
Hg (0.333, 0.667, 0.394)
Hg (0.667, 0.333, 0.606)
Hg (0.333, 0.667, 0.162)
Hg (0.667, 0.333, 0.838)
Hg (0.000, 0.000, 0.759)
Hg (0.000, 0.000, 0.241)

Total magnetization   0.00 μB/cell
Final energy   -14.714 eV per formula unit
DFT formation energy   -121 meV per atom


(4)
Entry from Alexandria: an optimized crystal structure of Sr5Tl2Hg (PBE-GGA).

a = 5.731 Å, b = 7.459 Å, c = 14.072 Å
α = 90.00°, β = 90.00°, γ = 90.00°
Atoms (fractional coordinates):
Sr (0.500, 0.332, 0.105)
Sr (0.500, 0.668, 0.895)
Sr (0.500, 0.832, 0.395)
Sr (0.500, 0.168, 0.605)
Sr (0.000, 0.862, 0.719)
Sr (0.000, 0.138, 0.281)
Sr (0.000, 0.362, 0.781)
Sr (0.000, 0.638, 0.219)
Sr (0.000, 0.500, 0.500)
Sr (0.000, 0.000, 0.000)
Tl (0.500, 0.365, 0.363)
Tl (0.500, 0.635, 0.637)
Tl (0.500, 0.135, 0.863)
Tl (0.500, 0.865, 0.137)
Hg (0.000, 0.000, 0.500)
Hg (0.000, 0.500, 0.000)

Total magnetization   0.00 μB/cell
Final energy   -16.279 eV per formula unit
DFT formation energy   -354 meV per atom


(5)
Entry from Alexandria: an optimized crystal structure of SrTl12Hg6 (PBE-GGA).

a = 8.980 Å, b = 8.980 Å, c = 8.980 Å
α = 106.63°, β = 106.63°, γ = 106.63°
Atoms (fractional coordinates):
Sr (0.000, 0.000, 0.000)
Tl (0.885, 0.115, 0.500)
Tl (0.873, 0.628, 0.628)
Tl (0.628, 0.628, 0.873)
+++

Alan Kooi Simpson (born September 2, 1931) is an American politician who served from 1979 to 1997 as a United States senator from Wyoming as member of the Republican Party. In 1997 he wrote a book titled Right in the Old Gazoo: A Lifetime of Scrapping with the Press.

It’s clear that integrity matters. You can do lots of things each day, and throughout your life, and in the end all that will be left will be your reputation. Think of all that you do each day, each month and each year – in the aggregate nobody will remember one thing from the next. But they will remember the tone and context of your efforts. Were you honest and trustworthy, did you keep your promises, could others rely on the quality and intent of your work, would anyone recommend you and your work to others?? These first three questions talk about the quality of each individual effort; the last speak to the caliber of the person. So much of what we do can be measured against the quality of similar work - what can’t be easily measured is one person’s character against that of others. In those instances, you stand alone, and will be judged alone. And in those instances, integrity matters.

Stay well.

Friday, October 15, 2010

Fate Loves the Fearless

I flew home this week and noticed several people with pillows getting on the plane. Having your own pillow when away from home is one of those 'comforts' that many can't do without. I sleep in lots of hotels and for sure most of the pillows there are nowhere near as comfortable (let along comforting) as the one on my own bed. And there too is another of life's comforts that we all crave - our own bed. Again, hotels may boast of their beds, but there's nothing like your own bed - how often have you heard someone say: "I can't wait to get back to my own bed" (how often have you said this yourself)? The point being: we're all creatures of habit and we like our own things. While this is good, we should also realize that there is so much more out there to discover that may one day make it into that group of comfortable things. So take a moment this weekend to notice all the things that you're so comfortable with - friends, a favorite sweater, the view out a window - whatever it is, recognize it and be thankful for it. And then keep an eye out for new things to get comfortable with and thankful for.

"Fate loves the fearless." James Russell Lowell

James Russell Lowell (1819 – 1891) was associated with the Fireside Poets, a group of New England writers who were among the first American poets who used conventional forms and meters in their poetry, making them suitable for families entertaining at their fireside.

I’d ask if you were fearless, but how many would admit that they’re not? In reality, most of us are less fearless than we’d like to be because to be really fearless involves taking risks and dealing with the unknown. Most people opt to stay in their comfort zones and when asked to participate they check to see if doing so is inside or outside that zone. Doing things with family and friends, offering to do something or get involved in school or at work, volunteering for a project in your community, making decisions – so many opportunities and yet so little courage. But it doesn’t have to be such a stark choice: every day you should take small steps to expand your horizons, to learn a little more about something, to practice new tactics and techniques, to grow your competencies and confidence, to go where you haven’t gone before. That’s how you build up your knowledge, skills and abilities, and start to expand those comfort zones. Start finding ways to be more fearless and then see where fate takes you!

Friday, October 8, 2010

The Beauty of Renewal

I spent this past week hiking and driving around the Adirondack Mountains in upstate New York and looking at the beautiful colors of the fall leaves. Like so many others, I try to I make this pilgrimage every year - not that I'm afraid I'll miss it - but because I want to see how time and nature continue with cycles that are timeless. In addition to the beauty, I am reminded of this process of renewal - the leaves change colors, they fall off the trees, and then next year the buds will grow and the process will start all over again. There's a comfort in knowing that life goes on and that we can be assured of these cycles - they provide the foundations of our lives and ease the transition from one season to another. And I am also reminded that time marches on, and that we should make the most of each of the seasons of our lives - to smell the leaves, to appreciate the beauty around us, and to be thankful for all that we're given. Take time on this holiday weekend to enjoy and appreciate all that you have - because even though beautiful things like these fall colors come every year, there's no reason to take them for granted.

My message this week is about professionalism and the need to see the glass that is our lives as always being half full.

"It is during our darkest moments that we must focus to see the light." Aristotle Onassis

Aristotle Sokratis Onassis (1906 – 1975), commonly called Ari or Aristo Onassis, was a prominent Greek shipping magnate. His grandmother Getsemani always told him to remember: "men have to construct their destiny."

Life is full of good and bad - most professionals understand this and seek to balance their lives so either extreme doesn’t overly distract them. If you focus on all the bad stuff it will frustrate you, it will make you miserable, it will color everything you do. Sort of like thinking the glass is half empty. But, on the other hand, if you keep a positive attitude then all things are possible, you’ll have the confidence and courage to try new things, you’ll see all the opportunities that are in front of you. Sort of like the glass being half full. Onassis was right when he said to focus on the light – even in the depths of darkness (or when the glass is nearly empty) – that’s the time to take a deep breath and redouble your efforts to find ways to complete new things and be successful.

With the right attitude anything is possible, everything is doable and nothing is beyond your grasp. And once you try, you own your destiny. So, go on – focus on the light.

Wednesday, October 6, 2010

An Extraordinarily Big One

This is a big week for me - I'm going to be 60. For the past several months, friends and family have all been quick to point out that 60 is the new 40. I gotta tell you: "I don't know what that means!" When I was growing up I clearly remember that I was most impressed with my father (and all the other parents of the kids I knew) when he was 60. People I meet today - personally and professionally - all seem to be most thoughtful and successful at that same age. So what's with trying to hide behind some false assumptions about age. We're all living longer and doing more longer, and there's no reason to make up something about when it's supposed to be really good. As I reach this milestone I have to admit that it ain't bad. Yes, I'll also admit that in my late teens and early 20s I thought anyone who was 60 was ancient, but now I can see how mistaken that was. Today I have less to prove; more experience, knowledge and perspective; a healthier attitude about being and doing good (personal/work/health) and a growing sense that I can help others with all that I have become. So forget about 60 being the new anything - it's 60. And I know with certainty that if I want 60 to be anything special, then I have to just get off my ass and make that happen.

This week's message is about how ordinary people can create or accomplish extraordinary things.

“People do not decide to become extraordinary. They decide to accomplish extraordinary things.” Edmund Hillary

Sir Edmund Percival Hillary, (1919 – 2008), was a New Zealand mountaineer, explorer and philanthropist. In 1953 at the age of 33, he and Sherpa mountaineer Tenzing Norgay became the first climbers’ known to have reached the summit of Mount Everest. He was named by Time magazine as one of the 100 most influential people of the 20th century.

Every day you take on lots of ordinary tasks; the trick is to then try to do something extraordinary with them. Successfully reaching this level relies on understanding what your goals are, and then it takes a great deal of careful and strategic planning to discover where you could or should take them, and then you have to pay close attention to all the details (both big and small), and after this you have to work harder than you ever expected; and then, and only then, do you have any chance of reaching an extraordinary level of achievement with any or all of your goals.

Whether it’s creating something grand, or performing at a level way above your competition, or turning in work that is so much more than anyone expected – these each require you to reach deep within yourself and to focus on performing at your very best. Do that today and you may reach the peak of your performance.

Never lose your passion for making things better...

I  was happy working at Wynn because I was encouraged to look for projects that got my creativity going. I had lunch this week with someone ...